Thursday, February 26, 2015

BACE - DNA combination and Ship

Some samples still have poor yields, so combine samples and reconcentrate

Followed protocol for Amicon Pro Purification System:

 MCBA15 004 - combine 4.1 and 4.2 from 2/25
 MCBA15 007 - combine from both extraction days
 MCBA15 015 - combine from both extraction days
 MCBA15 017 - combine from both extraction days
 MCBA15 019 - combine 19.1 and 19.2 from 2/25
 MMLR15 020 - combine from both extraction days

Quantified with Qubit on BioTek at 485/530 nM

Sample ID     Concentration (ng/uL)   Volume (uL)
MCBA15 004           20.8                 95
MCBA15 007            7.7                 90
MCBA15 015           34.9                100
MCBA15 017*          81.0                100 
MCBA15 019           11.0                 90
MMLR15 020            4.9                 95
 *split in two  

Shipped out sample on 3/3/15 (due to weather):

Sample ID        Total DNA (ng)
MCBA15 004          1976.0
MCBA15 007           693.0
MMLR15 010*          672.0
MMLR15 011*          616.0
MCBA15 015          3490.0
MCBA15 017          3645.0
MCBA15 019           990.0

Samples delivered and received 3/4/15 - email from Michael

Samples not sent out due to poor yields:

MMLR15 018 - slow growing
MCBA15 021 - Frigoribacterium; did not redo
MMLR15 022 - Frigoribacterium; did not redo

Tuesday, February 24, 2015

BACE - DNA Extraction Pt II

Try and extract DNA from samples that I could not get enough DNA from on 2/17
   ***for samples with really poor yields from last time, extracted two sets

Need more Lysozyme - 10 mg/mL in 60 uL x 20 samples

   TEN Buffer: 

      40 mM Tris-HCl ph=7.5
      1 mM EDTA ph=8.0
      150 mM NaCl

      Stock Solutions:      
      400 mM Tris-HCl = 6.30 g in 100 mL dH2O
      100 mM EDTA = 2.92 g in 100 mL dH2O
      300 mM NaCl = 1.75 g in 100 mL dH2O

      --> 1500 uL TEN Buffer = 750 uL NaCl + 15 uL EDTA + 150 uL Tris-HCl + 585 uL ddH2O

No. 1
{"formula": "C7H8", "method": "ωB97M-V/def2-TZVPD", "smiles": "C=C1C=C[C@@H]2C[C@H]12", "largest_force_ev_per_a": 4.95, "relative_energy_kcal_mol": 72.55, "species": ["C", "C", "C", "C", "C", "C", "C", "H", "H", "H", "H", "H", "H", "H", "H"], "positions_angstrom": [[1.698934, -0.880007, -1.050757], [0.749311, -0.717004, -0.090474], [-0.477829, -1.474591, 0.065693], [-1.436610, -0.636921, 0.500205], [-0.987846, 0.702032, 0.745067], [-0.358112, 1.551354, -0.276438], [0.496703, 0.621408, 0.575554], [1.895538, -1.806453, -1.477705], [2.339524, 0.121565, -1.175911], [-0.452846, -2.540044, 0.041450], [-2.315820, -0.992505, 0.853728], [-1.591220, 1.185657, 1.490031], [-0.392949, 2.595519, -0.118819], [-0.425862, 1.222992, -1.301913], [1.259085, 1.046998, 1.220290]], "forces_ev_per_a": [[0.3430, 4.0945, 2.7566], [0.8442, 1.0173, -1.8726], [0.0118, 0.3356, 1.1657], [2.0421, -2.0152, -1.2890], [-0.4555, 0.5348, 1.1849], [0.4399, -1.1917, -1.2280], [0.6051, 1.1403, -0.3396], [0.3650, -1.1978, -1.1813], [-0.9104, -2.8440, -0.1210], [-0.5965, -0.5574, -0.4574], [-2.9622, -0.8020, 0.6120], [0.4819, 0.4551, 0.6491], [0.2325, 0.8847, 0.2585], [-0.1787, 0.1986, -0.2483], [-0.2622, -0.0527, 0.1105]], "lowdin_charge": [0.06, -0.29, -0.04, -0.05, -0.26, -0.05, -0.18, 0.03, 0.12, 0.10, 0.08, 0.14, 0.09, 0.11, 0.14]}



No. 2
_The calculated molecules stop here_

   Add 1 mL TEN Buffer + 10 mg Lysozyme = 10 mg/mL

Followed Promega Wizard DNA Purification Kit Protocol for gram-positive bacteria
      Added 2 mL of liquid grown culture
      Added 10 mg/mL of 60 uL + 60 uL ddH2O = 120 uL
      Added 60 uL of Rehydration Solution

Quantified with Qubit kit on BioTek at 485/530 nM

Sample ID     Concentration (ng/uL)
MCBA15 004.1      7.9
MCBA15 004.2     20.8
MCBA15 007        4.9
MMLR15 010        0.0 - probably lost pellet 
MCBA15 015       10.7
MCBA15 017.1      8.7
MCBA15 017.2      0.3
MMLR15 018.1      1.0 - grows slow, not much input
MMLR15 018.2      3.1 - grows slow, not much input
MCBA15 019.1      7.5
MCBA15 019.2     13.5
MMLR15 020       16.6

Tuesday, February 17, 2015

BACE - DNA Extractions and Shipment

Shipped out samples to MIT - Martin Polz and Michael Cutler

Curtobacterium samples (n=11) sent on 2/17/15:

Sample ID      Total DNA (ng)
MCBA15 001         981.0
MMLR15 002        1254.2
MCBA15 003         893.8
MCBA15 005         953.9
MMLR15 006         943.6
MCBA15 008        1657.8
MCBA15 009         922.6
MCBA15 012         962.3
MCBA15 013        1240.4
MMLR15 014        1153.8
MCBA15 016         756.7

Samples Received on 2/19/15

What comes next are quantum chemistry results, not part of the page
/*
ORCA calculation (ωB97M-V with the def2-TZVPD basis set) on C3H4N4O as an isolated structure.

Last column: Mulliken charge in e.
CARTESIAN COORDINATES (ANGSTROEM)
C -2.42 -0.61 -0.34  0.13
C -0.48 0.00 -0.05  0.37
C 1.24 0.69 -0.58  -0.30
N -1.34 -0.59 -1.01  -0.48
N -1.12 0.43 0.99  -0.36
N 2.09 -0.61 1.08  -0.40
N 2.29 0.20 0.14  -0.09
O -2.41 -0.03 0.82  -0.12
H -3.26 -1.06 -0.88  0.40
H 1.20 0.76 -1.59  0.36
H 1.23 1.70 -0.22  0.24
H 2.99 -0.88 1.62  0.25

**LUMO level**: 0.49 eV
**Energy relative to the best compared isomer or geometry (same formula, charge and spin)**: 5.280 eV
**Net charge**: 0
**Orbital gap**: 10.04 eV
**HOMO energy**: -9.6 eV
*/
The quantum chemistry results stop here

Thursday, February 12, 2015

BACE - DNA Extraction

Followed Promega DNA Extraction Kit Protocol

Results were better than Spin Column method, but still not great for some samples.